Taiki It Easy

~Taiki Namiki's Blog~

【Philosophy】Managing the complex world

This Corona crisis makes me think about how difficult it is to manage the society.


Regarding the role of WHO, Presidents, Prime Ministers, Ministries of Health and other related institutions, there are thousands of opinions online. 


Tons of criticisms and praises towards those institutions are posted online everyday and we are bonbarded by the information. Everytime we read convincing opinions, we lean towards it. 



One certain thing is that no institutions or leaders can make perfect decisions. Why? Because the world is too complex for one person or one institution to manage in a perfect manner.


As a director of a company of 70 employees, I can tell. It is impossible to manage everything even in an organization of 70 people. How come is it possible to make a perfect decision in a country of 100 million population? (in case of Japan)


In a company of 70 people, there are 


70 C 2 = 2415


ways of communication between 2 people and 


70 C 3 = 54740


ways of communication among 3 people.



This is already overwhelming. 

Nobody can monitor this amount of communication happening everyday.  And noone can take all these information into account when they make decisions.




So, it is wrong to expect a perfect solution to your company, government or other institutions. 


We live in a coplex world. 

【Philosophy】Thinking about the World after Corona shock

Taking advantage of this abundant time at home in the midst of this Corona shock, I wanna summarize my thoughts on the current world status and the world after this chaos.


【Psychological Perspective】

I am once again struck by how our perception is skewed by our media exposure. As Daniel Kahneman argued in Thinking Fast and Slow, "the world in our head is not the precise replica of the reality". We understand the world based on information around us. And you cannot blame that because that is the only way we collect information, process it and come to conclusion. We are slaves of availability heuristics.

Surely, we can and should make effort to collect accurate information (such as statistical data and reliable experts' opinion) but still, those data sources are skewed by the bias of the creators of those information. 

This is why nothing is certain and it is impossible to predict the future. There is no complete information and we need to make decisions based on it.


【Epistemological Perspective】

This is to say that there always remain the field of unknown unknowns, as Rumsfeld said when they are about to start the Irak war. And it is what we don't know that matters, as Taleb said in Black Swan

If we can only know certain aspects of the world and what matters is what we do not know, then what's the point of learning, studying and thinking? 

This might lead us to a nihilistic world view. 


【Ontological Perspective】

But as Philip Tetlock argues in Superforecasting, it is not that every thinking is meaningless. By thinking in an appropriate manner, we can at least increase the probability of understanding the world correctly.
As Markus Gabriel argues in Why the world does not exist, there are absolute things in this world. Not everything depends on our perception. 

• Records of crystals, kept here for reference:
The following is a DFT calculation (PBE) of a relaxed structure of AlZn2Pb.

Calculated values
Total DFT energy (no corrections) in eV/atom: -2.2491
Offset from the most stable computed form in meV/atom: 110
Magnetization in μB per formula unit: 0.000
ΔE_f in eV/atom: 0.251

```
data_AlZn2Pb
_chemical_formula_sum 'Al4 Zn8 Pb4'
_space_group_name_H-M_alt 'F m -3 m'
_space_group_IT_number 225
_space_group_name_Hall '-F 4 2 3'
_cell_length_a 6.941
_cell_length_b 6.941
_cell_length_c 6.941
_cell_angle_alpha 90.00
_cell_angle_beta 90.00
_cell_angle_gamma 90.00
loop_
_atom_site_label
_atom_site_type_symbol
_atom_site_fract_x
_atom_site_fract_y
_atom_site_fract_z
_atom_site_occupancy


【International Order】

What this Corona crisis shows is the unfainess of this world. The poor is disproportionately affected by the virus. This is not only the case in this crisis. Many global problems such as climate change and immigration affect the poor more than the rich. 

Lockdown does not affect the lives of the rich that much. They can stay at home, order food delivery, excersice inside their big house and enjoy intellectual conversation. But the poor cannot sell their food on streets and immediately looses their source of income. 

This happens both in inter-national level and intra-national level. 
Where is justice? Where is human rights?

Maybe we still live in the world ruled by the law of jungle.



So the question of "Life or Economy" is a false dichotomy. Especially for the poor, economy IS life. This is especially applicable to developing countries. If many people die of hunger because of lockdown, what's the point of doing it? 

We need to compare and analyze the Pros and Cons of Lockdown and No Lockdown in terms of total damage. 

********
1.
# AlV5Si2, relaxed, DFT PBE-GGA
data_AlV5Si2
_cell_length_a 2.8694
_cell_length_b 6.5642
_cell_length_c 6.5642
_cell_angle_alpha 70.78
_cell_angle_beta 77.38
_cell_angle_gamma 77.38
_space_group_name_H-M_alt 'P 1'
_space_group_IT_number 1
loop_
_space_group_symop_operation_xyz
'x,y,z'
loop_
_atom_site_label
_atom_site_type_symbol
_atom_site_fract_x
_atom_site_fract_y
_atom_site_fract_z
Al1 Al 0.0000 0.0000 0.0000
V1 V 0.0000 0.5000 0.5000
V2 V 0.6245 0.5921 0.1590
V3 V 0.3755 0.4079 0.8410
V4 V 0.3755 0.8410 0.4079
V5 V 0.6245 0.1590 0.5921
Si1 Si 0.7476 0.7524 0.7524
Si2 Si 0.2524 0.2476 0.2476
# **Raw formation energy**: -0.161 eV/atom
# **Crystal system**: orthorhombic


2.
# AlCdPt5, relaxed, DFT PBE-GGA
data_AlCdPt5
_cell_length_a 4.0035
_cell_length_b 4.0035
_cell_length_c 7.2675
_cell_angle_alpha 90.00
_cell_angle_beta 90.00
_cell_angle_gamma 90.00
_space_group_name_H-M_alt 'P 1'
_space_group_IT_number 1
loop_
_space_group_symop_operation_xyz
'x,y,z'
loop_
_atom_site_label
_atom_site_type_symbol
_atom_site_fract_x
_atom_site_fract_y
_atom_site_fract_z
Al1 Al 0.5000 0.5000 0.0000
Cd1 Cd 0.0000 0.0000 0.5000
Pt1 Pt 0.0000 0.5000 0.7889
Pt2 Pt 0.0000 0.5000 0.2111
Pt3 Pt 0.5000 0.0000 0.7889
Pt4 Pt 0.5000 0.0000 0.2111
Pt5 Pt 0.5000 0.5000 0.5000
# **Crystal system**: tetragonal
# **Energy of formation**: -0.383 eV per atom


3.
# ZnCd2As, relaxed, DFT PBE-GGA
data_ZnCd2As
_cell_length_a 4.9219
_cell_length_b 4.9219
_cell_length_c 4.9219
_cell_angle_alpha 60.00
_cell_angle_beta 60.00
_cell_angle_gamma 60.00
_space_group_name_H-M_alt 'P 1'
_space_group_IT_number 1
loop_
_space_group_symop_operation_xyz
'x,y,z'
loop_
_atom_site_label
_atom_site_type_symbol
_atom_site_fract_x
_atom_site_fract_y
_atom_site_fract_z
As1 As 0.5000 0.5000 0.5000
Zn1 Zn 0.0000 0.0000 0.0000
Cd1 Cd 0.2500 0.2500 0.2500
Cd2 Cd 0.7500 0.7500 0.7500
# **Energy above the lowest structure with this stoichiometry**: 0.31 eV per formula unit
# **Crystal system**: cubic
# **Energy of formation**: 0.161 eV per atom


4.
# GaBiSe2N, relaxed, DFT PBE-GGA
data_GaBiSe2N
_cell_length_a 5.2344
_cell_length_b 5.2344
_cell_length_c 3.7779
_cell_angle_alpha 90.00
_cell_angle_beta 90.00
_cell_angle_gamma 90.00
_space_group_name_H-M_alt 'P 1'
_space_group_IT_number 1
loop_
_space_group_symop_operation_xyz
'x,y,z'
loop_
_atom_site_label
_atom_site_type_symbol
_atom_site_fract_x
_atom_site_fract_y
_atom_site_fract_z
Ga1 Ga 0.0000 0.0000 0.0000
Bi1 Bi 0.5000 0.5000 0.5000
Se1 Se 0.0000 0.5000 0.0000
Se2 Se 0.5000 0.0000 0.0000
N1 N 0.0000 0.0000 0.5000
# **Raw formation energy**: 0.399 eV/atom
# **Energy above the lowest structure with this stoichiometry**: 0.00 eV per formula unit
# **Crystal system**: tetragonal


5.
# Ta2BeCl, relaxed, DFT PBE-GGA
data_Ta2BeCl
_cell_length_a 5.5385
_cell_length_b 5.5385
_cell_length_c 5.5385
_cell_angle_alpha 149.79
_cell_angle_beta 131.74
_cell_angle_gamma 58.00
_space_group_name_H-M_alt 'P 1'
_space_group_IT_number 1
loop_
********
Here the piece continues

What's important is to think about the global optimum, not local optimum. 



This mindsed is quite important in business management too because the goal of an organization is to pursue its global optimum, not the local optimum of each department. Resource (money, people, information, mental energy, time, etc etc) is always scarce. How to allocate these finite resources to achieve global optimum is the essence of the game called business.


【International Cooperation】

However, pursuing global optimum is what's missing in this modern world, as Harari points out in recent talks. An appropriate counter measure towards this Corona Shock is not segregation but cooperation. 

What happens in Uganda is not an irrelevant event in the other side of the world as Ebola outbreak showed us, especially in this globalized world. Its OUR problem. 

Likewise, poverty, injustice, inequality, pollution, etc etc are our problems too. We need to tackle those problems all together but it seems like countries are going to opposite directions, yelling "we come first". The world is not flat enough.



But not everything is going wrong. There are people taking advantage of this event for inner growth and introspection. 

Staying home all day gives you time to read, write, meditate, talk to your family and appreciate the value of ordinary life. 

Some people might start rethinking about their life and shift their career towards desirable direction.

In Chinese (and in Japanese), crisis is written "危機" and it is a combination of danger (危)and opportunity (機). We can regard this crisis as an opportunity to bring this world to an upper stage of development.




























一時期はそうだろうと思ってたんだが、最近Slavoj Zizekが「Happiness is a conformist category」と言っていたのを聞いて、そうだな、とも思った。幸せは目的にはなり得ない、と。




じゃあ、幸せじゃなくて、何を追い求めるのか? 例えば使命感。貧困削減とか、環境問題の解決とか、不正の告発とか、正義の追求とか。それらは、追い求める上で苦痛を伴う可能性が高い。幸せにはなれないかもしれないけど、それらを使命感を持って追求することが真の人生の目的だ、という主張。



















これは、Sapiens (by Yuval Noah Harari) の主張とも整合的です。ホモ=サピエンスが他のどの動物よりも強く、ホモ類の中でただ一種生き残れたのは、大規模な協力(何百万人単位の)があったからで、それを可能にしたのは、宗教なり国家なり貨幣なりといった「ストーリー」だった、ということ。




Thinking Fast and Slow(by Daniel Kahneman)に詳しく書かれていますが、人は、何かを主張する際に(つまりストーリーを語る際に)自分に都合の良いデータだけを集めてきてその主張を正当化するバイアスを持っています。

The entry is interrupted by calculated crystals =
-- begin --
[1]
Below is an optimized crystal structure of Ca3AlAu2, with properties calculated at the PBE level.

Results
space-group type: Ibam (72)
raw total energy: -39.6 eV for the cell shown
density: 5.572 g cm⁻³
E_form: -583 meV per atom

The structure in POSCAR format:
```
Ca3AlAu2
1.0
7.0103 0.0000 0.0000
0.0000 6.5026 0.0000
-3.5052 -3.2513 7.0755
Ca Au Al
6 4 2
Direct
0.5000 0.2500 0.0000
0.9955 0.1857 0.3713
0.6242 0.3143 0.6287
0.3758 0.6857 0.3713
0.5000 0.7500 0.0000
0.0045 0.8143 0.6287
0.6859 0.8944 0.7889
0.8970 0.6056 0.2111
0.3141 0.1056 0.2111
0.1030 0.3944 0.7889
0.0000 0.2500 0.0000
0.0000 0.7500 0.0000
```

=====

[2]
Below is an optimized crystal structure of Mn2NiHg, with properties calculated at the PBE level.

Results
space-group type: I-42d (122)
raw total energy: -42.7 eV for the cell shown
density: 10.201 g cm⁻³
E_form: 770 meV per atom

The structure in POSCAR format:
```
Mn2NiHg
1.0
3.6593 0.0000 0.0000
0.0000 3.6593 0.0000
1.8296 1.8296 8.9760
Ni Mn Hg
2 4 2
Direct
0.2500 0.7500 0.5000
0.5000 0.5000 0.0000
0.8750 0.7978 0.7500
0.2022 0.6250 0.2500
0.3750 0.4522 0.7500
0.5478 0.1250 0.2500
0.0000 0.0000 0.0000
0.7500 0.2500 0.5000
```

=====

[3]
Below is an optimized crystal structure of La3Pm2Tl4, with properties calculated at the PBE level.

Results
space-group type: C2/m (12)
raw total energy: -36.8 eV for the cell shown
excess energy over the best structure of this formula in the dataset: 0.00 kJ per mole of atoms
density: 9.011 g cm⁻³
E_form: -336 meV per atom

The structure in POSCAR format:
```
La3Pm2Tl4
1.0
5.5002 0.0001 0.0005
2.7497 4.7304 0.6077
-0.0002 -1.3443 10.6237
Tl La Pm
4 3 2
Direct
0.9992 0.0016 0.3439
0.6670 0.6661 0.8967
0.0008 0.9984 0.6561
0.3330 0.3339 0.1033
0.6674 0.6652 0.5753
0.3326 0.3348 0.4247
0.0000 0.0000 0.0000
0.3338 0.3323 0.7831
0.6662 0.6677 0.2169
```

=====

[4]
Below is an optimized crystal structure of Pm7Pd2Rh2, with properties calculated at the PBE level.

Results
space-group type: Imm2 (44)
raw total energy: -64.6 eV for the cell shown
excess energy over the best structure of this formula in the dataset: 0.00 kJ per mole of atoms
density: 8.020 g cm⁻³
E_form: -568 meV per atom

The structure in POSCAR format:
```
Pm7Pd2Rh2
1.0
3.8782 0.0000 0.8317
1.0539 8.1182 4.5433
0.0206 -0.1326 9.3616
Pm Rh Pd
7 2 2
Direct
0.1204 0.1476 0.6117
0.8796 0.3883 0.8524
0.6090 0.4995 0.2824
0.1905 0.7007 0.9182
0.5000 0.9879 0.0121
0.8095 0.0818 0.2993
0.3910 0.7176 0.5005
0.5000 0.3591 0.6409
0.0000 0.7784 0.2216
0.7387 0.8577 0.6648
0.2613 0.3352 0.1423
```

=====

[5]
Below is an optimized crystal structure of Pm2DyY4Tm2, with properties calculated at the PBE level.

Results
space-group type: C2/m (12)
raw total energy: -48.8 eV for the cell shown
density: 6.562 g cm⁻³
E_form: 11 meV per atom

The structure in POSCAR format:
```
Pm2DyY4Tm2
1.0
3.6023 0.0000 0.0000
-1.8012 9.3310 -0.4723
0.0000 -3.7187 8.8156
Tm Y Dy Pm
2 4 1 2
Direct
0.3332 0.6664 0.9993
0.6668 0.3336 0.0007
-- stop --



































































